• Exercise:
Your job: reproduce everything below without additions.

• Entries:
┌──
Entry A
DFT (the ωB97M-V functional and the def2-TZVPD basis) results for 2 unconnected molecules or ions with the total composition CH4BrOP.

Properties
Lowest unoccupied orbital energy (spin up / spin down) = -0.0264 / -0.0105 hartree
HOMO-LUMO gap (spin up / spin down) = 7.54 / 8.03 eV

```
8
CH4BrOP (the ωB97M-V functional and the def2-TZVPD basis)
C 0.22 -0.87 -0.97
O 1.03 -1.80 -0.44
P 0.46 1.21 0.91
Br 0.76 -0.10 -2.63
H -0.82 -1.16 -0.94
H 1.96 -1.51 -0.44
H -0.33 2.02 0.09
H -0.68 0.70 1.54
```

These are the Löwdin partial charges, in e, on atoms 1 to 4: -0.780, -0.124, 0.618, 0.619

=====

Entry B
DFT (the ωB97M-V functional and the def2-TZVPD basis) results for 2 unconnected molecules or ions with the total composition CH4BrOP.

Properties
Lowest unoccupied orbital energy = 0.0053 hartree
SMILES = [H]/P=C\O.Br
HOMO-LUMO gap = 8.94 eV

```
8
CH4BrOP (the ωB97M-V functional and the def2-TZVPD basis)
H 0.71 -2.05 -1.97
P 1.32 -0.87 -1.84
C 0.92 -0.45 -0.24
O 0.13 -1.19 0.63
H 1.41 0.55 0.15
H 0.33 -0.84 1.54
Br -1.82 2.11 1.22
H -3.02 2.74 0.51
```

These are the Löwdin partial charges, in e, on atoms 1 to 4: -0.204, 0.771, -0.646, -0.132

=====

Among the structures above, stability is greatest for entry B.

~~~~~

# 1
Here is a structure of composition C13H20CuN4O2SSe2 from the OMol25 dataset. Energies are from ωB97M-V with the def2-TZVPD basis set.

Values from the calculation:
DFT total energy   -7718.38563 Eh
Molecular weight   517.86 g mol⁻¹
Expectation value of S²   0.759
LUMO energy (spin up / spin down)   -0.522 / -1.021 eV

Structure (ORCA input):
```
! wB97M-V def2-TZVPD RIJCOSX def2/J DEFGRID3
* xyz 0 2
Cu -0.52992 -0.25695 0.44504
C -1.75016 -4.50453 0.27207
C -1.35881 -3.07040 0.08797
N -0.97104 -2.28332 1.02020
N -0.89456 -2.76923 2.28569
C -0.51756 -1.96252 3.35039
N -0.46308 -2.68093 4.49954
S -0.16878 -0.36450 3.25509
C -1.39901 -2.47023 -1.28473
C -1.40163 -3.25132 -2.42620
C -1.40276 -2.61420 -3.66064
C -1.40563 -1.23376 -3.70678
C -1.39446 -0.52919 -2.51093
N -1.39571 -1.13561 -1.33109
H -2.23021 -4.69070 1.23276
H -0.88176 -5.16409 0.19050
H -2.46416 -4.80175 -0.49264
H -1.02816 -3.75536 2.42844
H -0.80518 -3.62199 4.57796
H -0.26927 -2.17018 5.34207
H -1.38190 -4.33034 -2.36506
H -1.39291 -3.19512 -4.57374
H -1.40659 -0.69955 -4.64678
H -1.37564 0.55465 -2.47677
O 2.58620 4.27482 1.68035
C 2.78298 3.36471 0.59575
C 1.45518 3.05561 -0.09510
C 1.03360 4.16535 -1.06233
O 0.96387 5.47584 -0.51436
C 0.40112 2.80910 0.99167
Se -1.25320 1.97531 0.35893
C 1.68561 1.82656 -1.00075
Se 1.78291 0.07782 -0.11481
H 3.44782 4.55959 1.99207
H 3.19058 2.42015 0.97005
H 3.48318 3.78070 -0.13780
H 0.07905 3.87963 -1.51612
H 1.77780 4.22964 -1.85976
H 0.37429 5.45895 0.24400
H 0.14250 3.74399 1.48722
H 0.81848 2.15425 1.75371
H 2.63332 1.96201 -1.52790
H 0.90363 1.78709 -1.75718
*
```

natural (NBO) atomic charge list, values in e, 6 entries: number 1, Cu, carries 0.893; number 2, C, carries -0.697; number 3, C, carries 0.242; number 4, N, carries -0.269; number 5, N, carries -0.449; number 6, C, carries 0.241

***

# 2
Here is a structure of composition C11H22N4S3Se4Zn at a distorted geometry from the OMol25 dataset. Energies are from ωB97M-V with the def2-TZVPD basis set.

Values from the calculation:
DFT total energy   -13231.02746 Eh
Molecular weight   687.76 g mol⁻¹
LUMO energy   0.193 eV

Structure (ORCA input):
```
! wB97M-V def2-TZVPD RIJCOSX def2/J DEFGRID3
* xyz 0 1
Zn 0.21448 -0.65712 0.85610
C -1.15972 1.29864 4.24920
C -1.08566 2.20170 3.03365
S -1.58448 1.46954 1.43668
C -3.31738 0.91886 1.69563
C -3.53978 -0.42903 2.37104
S -2.36343 -1.70711 1.78796
C -1.72389 -2.47024 3.32129
C -1.35179 -1.55310 4.47139
S -0.16084 -0.22908 4.04356
H -2.18635 1.01640 4.47555
H -0.75252 1.82583 5.11435
H -0.05579 2.51036 2.85046
H -1.70481 3.08562 3.19288
H -3.70338 0.89138 0.67665
H -3.83034 1.70497 2.24920
H -4.53907 -0.79058 2.12586
H -3.44753 -0.36631 3.44928
H -0.84027 -3.00686 2.96934
└──

• Reply:
Entry A
DFT (the ωB97M-V functional and the def2-TZVPD basis) results for 2 unconnected molecules or ions with the total composition CH4BrOP.

Properties
Lowest unoccupied orbital energy (spin up / spin down) = -0.0264 / -0.0105 hartree
HOMO-LUMO gap (spin up / spin down) = 7.54 / 8.03 eV

```
8
CH4BrOP (the ωB97M-V functional and the def2-TZVPD basis)
C 0.22 -0.87 -0.97
O 1.03 -1.80 -0.44
P 0.46 1.21 0.91
Br 0.76 -0.10 -2.63
H -0.82 -1.16 -0.94
H 1.96 -1.51 -0.44
H -0.33 2.02 0.09
H -0.68 0.70 1.54
```

These are the Löwdin partial charges, in e, on atoms 1 to 4: -0.780, -0.124, 0.618, 0.619

=====

Entry B
DFT (the ωB97M-V functional and the def2-TZVPD basis) results for 2 unconnected molecules or ions with the total composition CH4BrOP.

Properties
Lowest unoccupied orbital energy = 0.0053 hartree
SMILES = [H]/P=C\O.Br
HOMO-LUMO gap = 8.94 eV

```
8
CH4BrOP (the ωB97M-V functional and the def2-TZVPD basis)
H 0.71 -2.05 -1.97
P 1.32 -0.87 -1.84
C 0.92 -0.45 -0.24
O 0.13 -1.19 0.63
H 1.41 0.55 0.15
H 0.33 -0.84 1.54
Br -1.82 2.11 1.22
H -3.02 2.74 0.51
```

These are the Löwdin partial charges, in e, on atoms 1 to 4: -0.204, 0.771, -0.646, -0.132

=====

Among the structures above, stability is greatest for entry B.

~~~~~

# 1
Here is a structure of composition C13H20CuN4O2SSe2 from the OMol25 dataset. Energies are from ωB97M-V with the def2-TZVPD basis set.

Values from the calculation:
DFT total energy   -7718.38563 Eh
Molecular weight   517.86 g mol⁻¹
Expectation value of S²   0.759
LUMO energy (spin up / spin down)   -0.522 / -1.021 eV

Structure (ORCA input):
```
! wB97M-V def2-TZVPD RIJCOSX def2/J DEFGRID3
* xyz 0 2
Cu -0.52992 -0.25695 0.44504
C -1.75016 -4.50453 0.27207
C -1.35881 -3.07040 0.08797
N -0.97104 -2.28332 1.02020
N -0.89456 -2.76923 2.28569
C -0.51756 -1.96252 3.35039
N -0.46308 -2.68093 4.49954
S -0.16878 -0.36450 3.25509
C -1.39901 -2.47023 -1.28473
C -1.40163 -3.25132 -2.42620
C -1.40276 -2.61420 -3.66064
C -1.40563 -1.23376 -3.70678
C -1.39446 -0.52919 -2.51093
N -1.39571 -1.13561 -1.33109
H -2.23021 -4.69070 1.23276
H -0.88176 -5.16409 0.19050
H -2.46416 -4.80175 -0.49264
H -1.02816 -3.75536 2.42844
H -0.80518 -3.62199 4.57796
H -0.26927 -2.17018 5.34207
H -1.38190 -4.33034 -2.36506
H -1.39291 -3.19512 -4.57374
H -1.40659 -0.69955 -4.64678
H -1.37564 0.55465 -2.47677
O 2.58620 4.27482 1.68035
C 2.78298 3.36471 0.59575
C 1.45518 3.05561 -0.09510
C 1.03360 4.16535 -1.06233
O 0.96387 5.47584 -0.51436
C 0.40112 2.80910 0.99167
Se -1.25320 1.97531 0.35893
C 1.68561 1.82656 -1.00075
Se 1.78291 0.07782 -0.11481
H 3.44782 4.55959 1.99207
H 3.19058 2.42015 0.97005
H 3.48318 3.78070 -0.13780
H 0.07905 3.87963 -1.51612
H 1.77780 4.22964 -1.85976
H 0.37429 5.45895 0.24400
H 0.14250 3.74399 1.48722
H 0.81848 2.15425 1.75371
H 2.63332 1.96201 -1.52790
H 0.90363 1.78709 -1.75718
*
```

natural (NBO) atomic charge list, values in e, 6 entries: number 1, Cu, carries 0.893; number 2, C, carries -0.697; number 3, C, carries 0.242; number 4, N, carries -0.269; number 5, N, carries -0.449; number 6, C, carries 0.241

***

# 2
Here is a structure of composition C11H22N4S3Se4Zn at a distorted geometry from the OMol25 dataset. Energies are from ωB97M-V with the def2-TZVPD basis set.

Values from the calculation:
DFT total energy   -13231.02746 Eh
Molecular weight   687.76 g mol⁻¹
LUMO energy   0.193 eV

Structure (ORCA input):
```
! wB97M-V def2-TZVPD RIJCOSX def2/J DEFGRID3
* xyz 0 1
Zn 0.21448 -0.65712 0.85610
C -1.15972 1.29864 4.24920
C -1.08566 2.20170 3.03365
S -1.58448 1.46954 1.43668
C -3.31738 0.91886 1.69563
C -3.53978 -0.42903 2.37104
S -2.36343 -1.70711 1.78796
C -1.72389 -2.47024 3.32129
C -1.35179 -1.55310 4.47139
S -0.16084 -0.22908 4.04356
H -2.18635 1.01640 4.47555
H -0.75252 1.82583 5.11435
H -0.05579 2.51036 2.85046
H -1.70481 3.08562 3.19288
H -3.70338 0.89138 0.67665
H -3.83034 1.70497 2.24920
H -4.53907 -0.79058 2.12586
H -3.44753 -0.36631 3.44928
H -0.84027 -3.00686 2.96934